• Excerpt:
- - -
(1)
Computed powder diffractogram of Mg2Ga for Cu Kα (weighted mean of Kα1 and Kα2), from a DFT-relaxed cell (PBE, Alexandria).
Neutral-atom scattering factors, no anomalous dispersion.

Largest 12 diffraction maxima, sorted by position, 15 to 90 degrees two-theta:
two_theta, d [Å], I (rel.)
22.94, 3.876, 95.7
28.73, 3.107, 58.8
34.50, 2.600, 53.4
35.37, 2.538, 13.7
37.08, 2.425, 90.9
40.30, 2.238, 100.0
44.05, 2.056, 72.5
46.88, 1.938, 18.2
52.19, 1.753, 15.8
63.50, 1.465, 19.1
66.28, 1.410, 37.7
67.93, 1.380, 29.7

Cell and atoms:
Cell lengths 7.7527, 7.7527, 7.0109 Å; angles 90.00, 90.00, 120.00 degrees
Fractional positions:
Mg 0.0000 0.2768 0.0000
Mg 0.0000 0.2768 0.5000
Mg 0.0212 0.6271 0.2500
Mg 0.2768 0.0000 0.0000
Mg 0.2768 0.0000 0.5000
Mg 0.3729 0.3941 0.2500
Mg 0.3941 0.3729 0.7500
Mg 0.6059 0.9788 0.2500
Mg 0.6271 0.0212 0.7500
Mg 0.7232 0.7232 0.0000
Mg 0.7232 0.7232 0.5000
Mg 0.9788 0.6059 0.7500
Ga 0.0000 0.0000 0.2500
Ga 0.0000 0.0000 0.7500
Ga 0.3333 0.6667 0.5320
Ga 0.3333 0.6667 0.9680
Ga 0.6667 0.3333 0.0320
Ga 0.6667 0.3333 0.4680

---

(2)
Computed powder diffractogram of MgGa for Cu Kα (weighted mean of Kα1 and Kα2), from a DFT-relaxed cell (PBE, Alexandria).
Neutral-atom scattering factors, no anomalous dispersion.

Largest 12 diffraction maxima, sorted by position, 15 to 90 degrees two-theta:
two_theta, d [Å], I (rel.)
18.30, 4.847, 34.4
24.83, 3.586, 13.6
33.52, 2.673, 22.2
33.63, 2.665, 47.7
34.42, 2.606, 28.8
38.47, 2.340, 100.0
40.91, 2.206, 48.0
48.89, 1.863, 20.8
63.36, 1.468, 19.5
65.13, 1.432, 23.9
75.05, 1.266, 14.9
75.36, 1.261, 15.9

Cell and atoms:
Cell lengths 3.0904, 5.3298, 4.8466 Å; angles 90.00, 90.00, 90.00 degrees
Fractional positions:
Mg 0.2500 0.2500 0.1017
Mg 0.7500 0.7500 0.8983
Ga 0.2500 0.7500 0.4060
Ga 0.7500 0.2500 0.5940

---

(3)
Computed powder diffractogram of Mg15Ga for Cu Kα (weighted mean of Kα1 and Kα2), from a DFT-relaxed cell (PBE, Alexandria).
Neutral-atom scattering factors, no anomalous dispersion.

Largest 12 diffraction maxima, sorted by position, 15 to 90 degrees two-theta:
two_theta, d [Å], I (rel.)
16.08, 5.511, 5.9
18.30, 4.848, 8.6
23.78, 3.742, 4.2
32.49, 2.756, 24.8
35.22, 2.548, 25.5
37.09, 2.424, 100.0
48.67, 1.871, 15.3
57.96, 1.591, 17.2
64.43, 1.446, 18.2
69.67, 1.350, 19.0
70.84, 1.330, 13.6
79.00, 1.212, 3.3

Cell and atoms:
Cell lengths 6.3641, 6.3641, 10.1924 Å; angles 90.00, 90.00, 120.00 degrees
Fractional positions:
Mg 0.0000 0.0000 0.0000
Mg 0.0044 0.5022 0.5000
Mg 0.3304 0.1652 0.2556
Mg 0.3304 0.1652 0.7444
Mg 0.3333 0.6667 0.2496
Mg 0.3333 0.6667 0.7504
Mg 0.4978 0.5022 0.5000
Mg 0.4978 0.9956 0.5000
Mg 0.5008 0.0017 0.0000
Mg 0.5008 0.4992 0.0000
Mg 0.8348 0.1652 0.2556
Mg 0.8348 0.1652 0.7444
Mg 0.8348 0.6696 0.2556
Mg 0.8348 0.6696 0.7444
Mg 0.9983 0.4992 0.0000
Ga 0.0000 0.0000 0.5000

---

(4)
Computed powder diffractogram of Mg2Ga for Cu Kα (weighted mean of Kα1 and Kα2), from a DFT-relaxed cell (PBE, Alexandria).
Neutral-atom scattering factors, no anomalous dispersion.

Largest 12 diffraction maxima, sorted by position, 15 to 90 degrees two-theta:
two_theta, d [Å], I (rel.)
18.22, 4.870, 27.7
32.81, 2.730, 31.9
33.66, 2.663, 16.6
36.91, 2.435, 33.4
37.78, 2.381, 100.0
38.53, 2.336, 44.7
50.21, 1.817, 18.7
59.65, 1.550, 15.5
67.08, 1.395, 17.3
70.78, 1.331, 10.6
71.84, 1.314, 14.0
72.25, 1.308, 17.0

Cell and atoms:
Cell lengths 4.8703, 8.1454, 8.1454 Å; angles 22.51, 90.00, 90.00 degrees
Fractional positions:
Mg 0.0000 0.0000 0.0000
Mg 0.0000 0.3279 0.3279
Mg 0.0000 0.6647 0.6647
Mg 0.5000 0.8839 0.8839
Ga 0.5000 0.2161 0.2161
Ga 0.5000 0.5530 0.5530

---

(5)
Computed powder diffractogram of Mg3Ga4 for Cu Kα (weighted mean of Kα1 and Kα2), from a DFT-relaxed cell (PBE, Alexandria).
Neutral-atom scattering factors, no anomalous dispersion.

Largest 12 diffraction maxima, sorted by position, 15 to 90 degrees two-theta:
two_theta, d [Å], I (rel.)
22.36, 3.976, 27.7
24.45, 3.640, 13.8
29.74, 3.004, 13.8
36.37, 2.470, 100.0
- - -

• Work order:
Could you repeat the whole of the notes earlier on unchanged?

• Here it is:
(1)
Computed powder diffractogram of Mg2Ga for Cu Kα (weighted mean of Kα1 and Kα2), from a DFT-relaxed cell (PBE, Alexandria).
Neutral-atom scattering factors, no anomalous dispersion.

Largest 12 diffraction maxima, sorted by position, 15 to 90 degrees two-theta:
two_theta, d [Å], I (rel.)
22.94, 3.876, 95.7
28.73, 3.107, 58.8
34.50, 2.600, 53.4
35.37, 2.538, 13.7
37.08, 2.425, 90.9
40.30, 2.238, 100.0
44.05, 2.056, 72.5
46.88, 1.938, 18.2
52.19, 1.753, 15.8
63.50, 1.465, 19.1
66.28, 1.410, 37.7
67.93, 1.380, 29.7

Cell and atoms:
Cell lengths 7.7527, 7.7527, 7.0109 Å; angles 90.00, 90.00, 120.00 degrees
Fractional positions:
Mg 0.0000 0.2768 0.0000
Mg 0.0000 0.2768 0.5000
Mg 0.0212 0.6271 0.2500
Mg 0.2768 0.0000 0.0000
Mg 0.2768 0.0000 0.5000
Mg 0.3729 0.3941 0.2500
Mg 0.3941 0.3729 0.7500
Mg 0.6059 0.9788 0.2500
Mg 0.6271 0.0212 0.7500
Mg 0.7232 0.7232 0.0000
Mg 0.7232 0.7232 0.5000
Mg 0.9788 0.6059 0.7500
Ga 0.0000 0.0000 0.2500
Ga 0.0000 0.0000 0.7500
Ga 0.3333 0.6667 0.5320
Ga 0.3333 0.6667 0.9680
Ga 0.6667 0.3333 0.0320
Ga 0.6667 0.3333 0.4680

---

(2)
Computed powder diffractogram of MgGa for Cu Kα (weighted mean of Kα1 and Kα2), from a DFT-relaxed cell (PBE, Alexandria).
Neutral-atom scattering factors, no anomalous dispersion.

Largest 12 diffraction maxima, sorted by position, 15 to 90 degrees two-theta:
two_theta, d [Å], I (rel.)
18.30, 4.847, 34.4
24.83, 3.586, 13.6
33.52, 2.673, 22.2
33.63, 2.665, 47.7
34.42, 2.606, 28.8
38.47, 2.340, 100.0
40.91, 2.206, 48.0
48.89, 1.863, 20.8
63.36, 1.468, 19.5
65.13, 1.432, 23.9
75.05, 1.266, 14.9
75.36, 1.261, 15.9

Cell and atoms:
Cell lengths 3.0904, 5.3298, 4.8466 Å; angles 90.00, 90.00, 90.00 degrees
Fractional positions:
Mg 0.2500 0.2500 0.1017
Mg 0.7500 0.7500 0.8983
Ga 0.2500 0.7500 0.4060
Ga 0.7500 0.2500 0.5940

---

(3)
Computed powder diffractogram of Mg15Ga for Cu Kα (weighted mean of Kα1 and Kα2), from a DFT-relaxed cell (PBE, Alexandria).
Neutral-atom scattering factors, no anomalous dispersion.

Largest 12 diffraction maxima, sorted by position, 15 to 90 degrees two-theta:
two_theta, d [Å], I (rel.)
16.08, 5.511, 5.9
18.30, 4.848, 8.6
23.78, 3.742, 4.2
32.49, 2.756, 24.8
35.22, 2.548, 25.5
37.09, 2.424, 100.0
48.67, 1.871, 15.3
57.96, 1.591, 17.2
64.43, 1.446, 18.2
69.67, 1.350, 19.0
70.84, 1.330, 13.6
79.00, 1.212, 3.3

Cell and atoms:
Cell lengths 6.3641, 6.3641, 10.1924 Å; angles 90.00, 90.00, 120.00 degrees
Fractional positions:
Mg 0.0000 0.0000 0.0000
Mg 0.0044 0.5022 0.5000
Mg 0.3304 0.1652 0.2556
Mg 0.3304 0.1652 0.7444
Mg 0.3333 0.6667 0.2496
Mg 0.3333 0.6667 0.7504
Mg 0.4978 0.5022 0.5000
Mg 0.4978 0.9956 0.5000
Mg 0.5008 0.0017 0.0000
Mg 0.5008 0.4992 0.0000
Mg 0.8348 0.1652 0.2556
Mg 0.8348 0.1652 0.7444
Mg 0.8348 0.6696 0.2556
Mg 0.8348 0.6696 0.7444
Mg 0.9983 0.4992 0.0000
Ga 0.0000 0.0000 0.5000

---

(4)
Computed powder diffractogram of Mg2Ga for Cu Kα (weighted mean of Kα1 and Kα2), from a DFT-relaxed cell (PBE, Alexandria).
Neutral-atom scattering factors, no anomalous dispersion.

Largest 12 diffraction maxima, sorted by position, 15 to 90 degrees two-theta:
two_theta, d [Å], I (rel.)
18.22, 4.870, 27.7
32.81, 2.730, 31.9
33.66, 2.663, 16.6
36.91, 2.435, 33.4
37.78, 2.381, 100.0
38.53, 2.336, 44.7
50.21, 1.817, 18.7
59.65, 1.550, 15.5
67.08, 1.395, 17.3
70.78, 1.331, 10.6
71.84, 1.314, 14.0
72.25, 1.308, 17.0

Cell and atoms:
Cell lengths 4.8703, 8.1454, 8.1454 Å; angles 22.51, 90.00, 90.00 degrees
Fractional positions:
Mg 0.0000 0.0000 0.0000
Mg 0.0000 0.3279 0.3279
Mg 0.0000 0.6647 0.6647
Mg 0.5000 0.8839 0.8839
Ga 0.5000 0.2161 0.2161
Ga 0.5000 0.5530 0.5530

---

(5)
Computed powder diffractogram of Mg3Ga4 for Cu Kα (weighted mean of Kα1 and Kα2), from a DFT-relaxed cell (PBE, Alexandria).
Neutral-atom scattering factors, no anomalous dispersion.

Largest 12 diffraction maxima, sorted by position, 15 to 90 degrees two-theta:
two_theta, d [Å], I (rel.)
22.36, 3.976, 27.7
24.45, 3.640, 13.8
29.74, 3.004, 13.8
36.37, 2.470, 100.0